What type of compound is myosin
Axial spacing of the S-1 heads on the thick filament differs from that of the sites on the thin filament, so that the attachment-detachment cycle takes place asynchronously. Up to the present time, the attachment-detachment cycle shown in Fig. The most crucial step of the attachment-detachment cycle is, of course, conformational changes of the S-1 head attached to the thin filament shown in the middle diagram.
Diagrams of putative attachment-detachment cycle between the S-1 head, extending from the thick filament, and the corresponding site on the thin filament.
For explanations, see text. Molecular mechanism of muscle contraction can be studied biochemically by examining ATPase reaction steps of actin-myosin complex actomyosin in solution. The most probable sequence of actomyosin ATPase reaction taking place in contracting muscle is shown in Fig. M and A represent the myosin S-1 head on the thick filament and the actin monomer on the thin filament, respectively.
The reaction cycle includes attachment of A to, and its detachment from M, thus providing a simple correspondence with the attachment-detachment cycle between actin and myosin in the Huxley contraction model shown in Fig. The most probable sequence of actomyosin ATPase reactions taking place in contracting muscle. Although a number of attempts have been made up to the present time using a variety of experimental methods, the question, as to what makes the filaments slide, is not yet fully answered.
In , A. Huxley and Simmons presented a contraction model, which was central in the field of muscle physiology over many years [ 9 ] Fig. Time-resolved X-ray diffraction studies on contracting muscle also could not detect any appreciable changes in the equatorial reflections in response to a quick decrease in muscle length, which was expected to synchronously rotate the massive S-1 head [ 12 , 13 ].
Thus, the myosin S-1 head tilting model was found to be inconsistent with the experimental observations. Diagram showing the attachment-detachment cycle between the S-1 head and the thin filaments, presented by A. Huxley and Simmons [ 10 ]. Since the S-1 head tilting model is not supported experimentally, the S-1 head structural changes are considered to be limited within a small region in the myosin molecule.
### Calculated molecules from another source follow
/*
Molecular formula: C40H74BrCl16I2N3O9PS
Method: DFT, ωB97M-V with the def2-TZVPD basis set

Electronic energy in eV: -372303.951
HOMO-LUMO gap in eV: 8.416

```
! wB97M-V def2-TZVPD RIJCOSX def2/J DEFGRID3
* xyz 1 1
C -0.91 1.31 -1.88
C -0.82 1.90 -0.47
S 0.81 1.68 0.29
C 0.29 0.81 1.83
N 1.40 0.14 2.55
C 1.18 0.04 4.06
C 0.42 1.25 4.63
C -1.09 1.13 4.66
O -1.67 0.28 5.23
Br -2.10 2.55 3.78
C 2.53 -0.17 4.79
C 3.18 1.16 5.27
C 3.02 1.58 6.73
C 3.51 3.02 6.96
C 2.93 3.55 8.27
N 1.52 3.93 8.10
C 0.81 4.04 9.40
C 1.38 5.11 7.35
C -0.03 5.51 6.98
O 2.32 5.75 6.96
C 2.45 -1.24 5.90
C 1.33 -1.21 6.89
O 0.53 -0.32 7.07
O 1.29 -2.36 7.60
C 0.13 -2.48 8.42
C -1.12 -2.87 7.71
O 0.23 -2.32 9.59
N 3.53 -0.67 3.80
C 3.10 -1.69 2.85
C 4.36 -2.02 2.03
P 4.37 -3.50 1.01
O 4.05 -3.27 -0.42
O 3.50 -4.62 1.73
O 5.85 -4.07 1.18
C 1.94 -1.14 1.94
O 2.52 -0.67 0.76
C 0.94 -2.29 1.62
I -0.26 -1.91 -0.15
C 0.04 -3.01 2.64
C 0.69 -3.63 3.87
I -1.76 -2.00 3.24
H -1.85 0.78 -2.03
H -0.87 2.09 -2.64
H -0.10 0.62 -2.10
H -1.04 2.97 -0.51
H -1.59 1.45 0.17
H -0.08 1.62 2.44
H -0.55 0.14 1.62
H 2.20 0.78 2.46
H 0.55 -0.84 4.21
H 0.69 1.41 5.67
H 0.70 2.17 4.11
H 4.25 1.09 5.08
H 2.85 1.98 4.62
H 1.99 1.54 7.09
H 3.64 0.93 7.36
H 4.60 3.07 7.00
H 3.13 3.65 6.15
H 2.94 2.73 8.99
H 3.54 4.36 8.69
H -0.26 3.88 9.27
H 0.96 5.02 9.86
H 1.19 3.28 10.08
H -0.15 5.36 5.91
H -0.16 6.57 7.19
H -0.79 4.95 7.51
H 2.47 -2.24 5.46
H 3.38 -1.18 6.48
H -1.63 -3.61 8.32
H -1.78 -2.00 7.63
H -0.95 -3.29 6.72
H 4.28 -1.04 4.36
H 2.83 -2.64 3.32
H 4.75 -1.17 1.48
H 5.11 -2.24 2.80
H 2.98 -5.09 1.06
H 6.41 -3.69 0.48
H 2.56 -1.35 0.07
H 1.59 -3.08 1.23
H -0.36 -3.84 2.07
H 0.82 -2.94 4.70
H 0.01 -4.41 4.23
H 1.62 -4.14 3.63
Cl -2.85 2.40 -4.79
C -2.00 1.25 -5.86
C -2.79 -0.01 -6.15
Cl -2.94 -1.09 -4.73
H -1.05 1.00 -5.39
H -1.80 1.77 -6.79
H -2.25 -0.57 -6.91
H -3.79 0.20 -6.52
Cl -5.85 0.26 -3.72
C -7.28 1.13 -3.10
C -7.92 2.01 -4.14
Cl -6.90 3.41 -4.57
H -6.96 1.71 -2.24
H -8.00 0.37 -2.78
H -8.86 2.40 -3.75
H -8.13 1.46 -5.05
Cl 2.64 -6.37 -2.78
C 3.98 -5.70 -3.76
C 3.93 -4.20 -3.83
Cl 2.55 -3.61 -4.79
H 3.91 -6.15 -4.75
H 4.90 -6.02 -3.29
H 4.83 -3.84 -4.33
H 3.87 -3.75 -2.84
Cl -2.29 2.00 -9.67
C -1.22 0.92 -10.60
C -1.85 -0.43 -10.80
Cl -1.98 -1.35 -9.28
H -0.28 0.85 -10.07
H -1.05 1.40 -11.56
H -1.23 -1.03 -11.48
H -2.85 -0.35 -11.22
Cl 0.20 4.75 -8.38
C 1.02 5.60 -9.72
C 0.39 5.31 -11.06
Cl 0.66 3.63 -11.57
H 2.07 5.32 -9.71
H 0.94 6.67 -9.51
H 0.83 5.95 -11.82
H -0.69 5.48 -11.03
Cl 3.03 -11.11 -5.56
C 1.80 -9.92 -5.05
C 1.35 -9.04 -6.19
Cl 2.64 -7.93 -6.72
H 2.22 -9.34 -4.24
H 0.94 -10.49 -4.68
H 0.52 -8.42 -5.86
H 1.04 -9.62 -7.05
Cl 1.38 5.14 1.75
C 2.37 6.03 0.56
C 1.75 6.03 -0.82
Cl 1.76 4.41 -1.56
H 3.36 5.58 0.54
H 2.45 7.06 0.92
H 2.31 6.69 -1.47
H 0.71 6.37 -0.78
Cl -11.20 0.75 -2.97
C -11.74 -0.07 -4.46
C -10.93 -1.31 -4.75
Cl -9.25 -0.95 -5.23
H -11.67 0.64 -5.28
H -12.78 -0.35 -4.31
H -11.38 -1.86 -5.58
H -10.89 -1.97 -3.88
*
```

=====

No. 1
*/
### The piece goes on
The X-ray S-1 head crystal structure was first obtained by Rayment et al. As shown in Fig. In the intact myosin molecule, the LD is connected to the thick filament via the myosin S Attempts have been made to study possible nucleotide-dependent structural changes of the S-1 head to obtain insight into the mechanism of muscle contraction. The truncated S-1 is nearly globular in shape, and is easy to crystallize.
Myosin S-1 head structure [ 15 ]. For further explanations, see text. Based on this and other results, it has been proposed that the power stroke of the S-1 head, causing myofilament sliding, results from active rotation of the CD around the COD [ 15 ], utilizing chemical energy of ATP hydrolysis taking place in the CD. This is the swinging lever arm hypothesis, which now appears in many textbooks in physiology and biology. It is not certain, however, whether the above nucleotide-dependent structural changes of the S-1 head actually work in muscle contraction or not by the following reasons: 1 It is not clear that the observed rotation of the COD generates torque large enough to cause the filament sliding when the COD is connected to the thick filament via the LD and S-2; 2 It seems possible that the rotation of the COD is an artifact arising from close packing of the S-1 in the crystal, that may make each S-1 in a condition completely different from that in muscle; 3 It seems also possible that the ATP analogs used do not actually mimic intermediate compounds of ATP hydrolysis in muscle; and 4 The hypothesis completely igonores possible roles of the LD as well as the S After the end of power stroke, M remains attached to A B.
In this diagram, both the power and the recovery strokes of M is supposed to result from the swinging lever arm mechanism, so that M does not change its angle of attachment to A throughout the whole cycle, while it swings around a pivot COD, represented by a small circle forward and backward.
The LD is located between M and the pivot, simply serving as a lever arm. Diagram showing the attachment-detachment cycle between myosin S-1 head M , extending from the thick filament, and actin monomer A in the thin filament, based on the actomyosin ATPase reactions [ 16 ].
It is understandable that crystallographists use truncated S-1 head because of easiness in crystallizing it. Another reason for their ignorance of the LD and the S-2 in considering the mechanism of muscle contraction may come from development of so-called in vitro motility assay experiments, in which fluorescently labeled actin filaments are made to slide over myosin molecules or their proteolytic fragments such as HMM and S-1, fixed on a glass surface in the presence of ATP [ 17 ].
Especially, the fact that even the S-1 alone can generate force on actin filaments [ 18 ] seems to have given muscle investigators a belief that only the S-1 head is important in producing muscle contraction. We think that there is no reason to ignore the LD-S-2 boundary in considering the mechanism of the myosin S-1 head power stroke. In the next section, we will present experimental evidence for the essential role of the LD and the S-2, as well as evidence for non-essential role of the COD.
Diagram showing the structural changes of the myosin S-1 and S-2 before solid line and after broken line the power stroke. Our experiments concerning the essential role of the myosin S-2 started in when one of us H. If the velocity values are replotted against forces expressed relative to steady forces, the P-V curves were found to be identical Fig.
Since muscle fiber stiffness changed in parallel with force Fig. A P-V curves obtained before control and 30, 60, and 90min after administration of anti-S-2 antibody. Both velocities and forces are expressed in absolute values.
Myosin is composed of several protein chains: two large "heavy" chains and four small "light" chains. The structures available in the PDB, such as the one shown above, contain only part of the myosin molecule.
In the illustration above, from PDB entry 1b7t , atoms in the heavy chain are colored red on the left-hand side, and atoms in the light chains are colored orange and yellow.
The whole molecule is much larger, as shown on the next page, with a long tail that has been clipped off to allow the molecule to be studied. Fortunately, the crystal structures include most of the "motor" domain, the part of the molecule that performs the power stroke, so we can look at this process in detail.
Illustration of myosin filaments in the muscle sarcomere. Each myosin performs only a tiny molecular motion. It takes about 2 trillion myosin molecules to provide the force to hold up a baseball.
Our biceps have a million times this many, so only a fraction of the myosin molecules need to be exerting themselves at any given time. By working together, the tiny individual power stroke of each myosin is summed to provide macroscopic power in our familiar world. The painting shows how myosin is arranged inside muscle cells. About myosin molecules bind together, with all of the long tails bound tightly together into a large "thick filament.
The many myosin heads extending from the thick filament then reach over to actin filaments , shown in blue and green, and together climb their way up. Power stroke of myosin: pre-power stroke state left and rigor state right. ATP contains a key phosphate-phosphate bond that is difficult to create and is used to power many processes inside cells.
You might be surprised to find, however, that breakage of this phosphate-phosphate bond is not directly responsible for the power stroke in myosin. Instead, it is release of the phosphate left over after ATP is cleaved that powers the stroke. Think of myosin like an arm that can flex towards you or push away. The cleavage of ATP is used in a priming step.
=====
{
  "formula": "C39H69AsN5O3PSSi2Ti",
  "method": "ωB97M-V/def2-TZVPD",
  "s_squared": 0.758,
  "spin_multiplicity": 2,
  "e_homo_ev": [-4.7, -5.2],
  "e_lumo_ev": [1.36, 1.27],
  "total_charge": -1,
  "species": ["Ti", "C", "C", "C", "C", "P", "N", "C", "C", "C", "C", "C", "C", "C", "C", "H", "H", "H", "H", "H", "H", "H", "H", "H", "H", "H", "H", "H", "H", "H", "H", "H", "H", "H", "H", "H", "H", "H", "H", "H", "H", "H", "C", "Si", "C", "C", "As", "Si", "C", "C", "C", "H", "H", "H", "H", "H", "H", "H", "H", "H", "H", "H", "H", "H", "H", "H", "H", "H", "H", "O", "S", "O", "O", "C", "N", "C", "C", "C", "N", "C", "C", "C", "N", "C", "C", "H", "H", "H", "H", "H", "H", "C", "C", "C", "C", "C", "C", "C", "C", "N", "C", "C", "C", "C", "H", "H", "H", "H", "H", "H", "H", "H", "H", "H", "H", "H", "H", "H", "H", "H", "H", "H"],
=====
This prepares myosin for the power stroke. The flexed myosin then grabs the actin filament shown in green and blue, from PDB entry 1atn and release of phosphate snaps it into the straight "rigor" form, as shown on the right PDB entry 2mys.
Mammalian cells typically produce in excess of 10, different proteins displaying enzymatic activities. To retain the conformational flexibility required for their catalytic function, most of these enzymes are only marginally thermodynamically stable. External stress brought about by changes in pH, temperature, ionic strength, and the composition and concentration of small-molecule ligands affects the transition to the denatured state. The denatured state is characterized by the loss of enzymatic activity and can be described as an ensemble of states with high conformational entropy Anfinsen and Scheraga, Denatured enzyme molecules are more likely to be affected by adsorption, aggregation, precipitation, and proteolysis.
At the cellular level, their aggregation with one another or with properly functioning proteins leads to deleterious consequences. Their accumulation can interfere with proteasome function, disrupt normal cellular processes by binding critical cell-signaling and cell-trafficking molecules, and trigger signals that result in cell death Tyedmers et al.
Elaborate cellular systems for the maintenance of protein homeostasis proteostasis have evolved to prevent the accumulation of unfolded or misfolded protein aggregates.
These comprise approximately general and specialized chaperone components and ubiquitin-proteasome system UPS and autophagy system components that support protein folding, refolding of stress-denatured enzymes, disaggregation, and proteolytic degradation of irreversibly misfolded proteins Nalepa et al. Myosins are amongst the most abundant proteins in our body. In addition to their role as molecular motors driving the stiffening and contraction of muscles, they contribute to a wide range of functions.
In the case of myosin, the negative consequences of misfolding are amplified by the formation of roadblock-like, strongly-bound complexes with their actin filament tracks. Aberrant myosin activity and proteostasis contribute to hereditary skeletal myopathies, cardiomyopathies, and various disorders of the nervous system Oldfors, ; Walsh et al.
In the course of investigations to identify small-molecule ligands that stabilize myosin against thermal denaturation, we identified the thiadiazinone derivative EMD as a potent mediator of myosin folding. Studies with EMD performed in dogs, with heart failure induced through long-term tachycardia pacing, show potent positive inotropic effects, reduced oxygen cost of contraction, and enhanced diastolic chamber performance Senzaki et al.
Here, we provide evidence indicating that EMD binds to an allosteric pocket in the myosin motor domain near the base of the lever arm. In addition to increasing motility, force production, and thermal stability of native myosin, binding of EMD to heat-inactivated myosin induces refolding and reactivation of ATPase activity and motility.
~~~
## a
{"formula": "C5H11OP", "method": "the ωB97M-V functional and the def2-TZVPD basis", "species": ["C", "C", "C", "C", "C", "O", "P", "H", "H", "H", "H", "H", "H", "H", "H", "H", "H", "H"], "coordinates": [[1.687, -0.398, 0.881], [0.624, -0.773, -0.017], [3.036, -1.186, 0.968], [-2.474, -1.813, 0.943], [-2.276, -0.062, -1.201], [1.447, 0.235, -0.342], [-1.809, -0.087, 0.555], [1.433, 0.054, 1.879], [0.533, -1.749, -0.585], [3.863, -0.798, 1.628], [3.498, -1.142, -0.116], [2.776, -2.176, 1.293], [-3.534, -1.610, 1.352], [-1.844, -2.254, 1.678], [-2.295, -2.438, -0.004], [-3.361, 0.236, -1.530], [-1.902, -0.991, -1.723], [-1.769, 0.862, -1.640]], "lowdin_charge": [-0.382, -0.246, -0.050, -0.384, -0.460, -0.029, 0.843, 0.142, 0.116, 0.077, 0.117, 0.051, 0.050, -0.015, 0.043, 0.064, 0.031, 0.032], "charge": 0, "homo_lumo_gap_ev": 8.5, "homo_energy_ev": -7.885}


## b
{"formula": "C5H11OP", "method": "the ωB97M-V functional and the def2-TZVPD basis", "species": ["C", "C", "P", "O", "C", "C", "C", "H", "H", "H", "H", "H", "H", "H", "H", "H", "H", "H"], "coordinates": [[-2.158, -1.340, 1.791], [-1.769, -0.762, 0.673], [-0.597, 0.666, 0.431], [-0.095, 1.263, 1.660], [0.622, 0.227, -0.874], [1.552, -0.863, -0.251], [1.346, 1.509, -1.197], [-2.934, -2.104, 1.841], [-2.065, -1.157, 2.827], [-2.308, -1.101, -0.262], [-1.476, 1.750, -0.359], [0.066, -0.128, -1.774], [1.865, -0.476, 0.755], [1.097, -1.916, -0.297], [2.382, -0.918, -0.859], [1.774, 1.874, -0.325], [0.615, 2.059, -1.758], [2.082, 1.415, -2.022]], "lowdin_charge": [-0.047, -0.268, 0.648, -0.379, -0.531, -0.106, -0.138, 0.057, 0.047, 0.084, 0.076, 0.121, 0.093, 0.102, 0.029, 0.056, 0.061, 0.095], "charge": 0, "homo_lumo_gap_ev": 10.8, "homo_energy_ev": -9.931}


## c
{"formula": "C5H11OP", "method": "the ωB97M-V functional and the def2-TZVPD basis", "species": ["C", "C", "C", "C", "P", "O", "C", "H", "H", "H", "H", "H", "H", "H", "H", "H", "H", "H"], "coordinates": [[-0.521, -0.187, 2.411], [-0.324, -0.157, 1.109], [-1.477, -0.228, 0.111], [-1.626, 1.236, -0.401], [1.247, 0.298, 0.334], [1.352, -0.969, -0.764], [2.038, -0.784, -1.928], [0.399, -0.133, 2.977], [-1.526, -0.289, 2.984], [-1.067, -0.879, -0.628], [-2.487, -0.409, 0.456], [-0.661, 1.461, -1.023], [-1.613, 2.004, 0.428], [-2.674, 1.374, -0.897], [2.030, -0.097, 1.471], [2.282, 0.256, -2.094], [1.603, -1.426, -2.737], [3.026, -1.071, -1.809]], "lowdin_charge": [-0.028, -0.551, -0.269, -0.152, 0.957, -0.451, -0.226, 0.027, 0.104, 0.076, 0.100, 0.061, 0.080, 0.094, -0.039, 0.061, 0.111, 0.046], "charge": 0, "homo_lumo_gap_ev": 9.8, "homo_energy_ev": -8.791}


Relative energies with respect to the most stable structure, expressed in kcal/mol: a 69.0; b 0.0; c 22.1.


## a
~~~
**End of the records of molecules:**
Our findings demonstrate that small molecules such as EMD can stabilize, enhance the activity of and correct stress-associated misfolding of globular enzymes.
Myosin constructs that bind EMD display increased basal and actin-activated ATPase activity in the presence of the compound. The activation of skeletal muscle myosin-2 and Dd myosin-5 is twofold and fivefold weaker. The initial fast rise of fluorescence reflects the binding of the ATP analogue to the myosin active site, the following plateau phase monitors the duration of the hydrolysis reaction, and the third phase, corresponding to a decrease in fluorescence signal intensity, monitors the rate of product release.
The normalized thermophoresis signals were plotted against the EMD concentration. K D values were obtained by fitting the data to the Hill equation. Errors indicate s. D Fraction of active myosin heads in the absence and presence of saturating concentrations of EMD determined by active site titrations.
The observed turnover of ATP is 1. F EMD mediated activation of motor activity. Filament movement is restarted after the addition of EMD Errors indicate SD.
The number of experimentally accessible active sites is always smaller in preparations of purified enzymes than the number of active sites calculated based on protein concentration. The observed deviation results from incomplete folding, the presence of impurities, and the stress-induced partial loss of function during purification and storage.
In the case of myosin, the amplitude of the fast rise in fluorescence intensity that follows binding of mantATP can be used to estimate the fraction of functional protein by active site titration Tsiavaliaris et al. The increase in the number of binding-competent active sites is followed by a correlated increase in myosin ATPase activity Figure 1D,E.
In addition to the apparent conversion of inactive to catalytically competent myosin, ATPase activities measured in the presence of EMD correlate with the total number of myosin heads rather than the initial number of active myosin heads. To probe the effect of EMD on myosin motor activity, we performed in vitro motility assays. The sliding velocity of actin filaments increased 1. Next, we generated in vitro motility flow cells with actin filaments held at stall force.
The time-dependence of the recovery of motile activity is best fit by a hyperbola. A plateau value of 0. Steady-state kinetic assays performed in the absence and the presence of EMD indicate an allosteric mode of action Figure 2—figure supplement 1.
The mode of binding and the orientation of EMD in this pocket were further analyzed using a flexible, targeted docking procedure. Rearrangements in the side chains of residues Arg29 and Lys34 are predicted to bring these two amino acids into the close vicinity of polar groups in EMD The sets of binding poses differ mainly in the orientation of the dimethylated catechol group, occupying either of the two possible branches of the Y, while the thiadiazinone moiety appears little affected and resides in the root of the Y shaped cavity Figure 2A,B.
Potential residues involved in the binding of the thiadiazinone and tetrahydroquinoline moieties of the compound include Arg23, Asp85, Lys86, Asp, Arg, and Ser Further studies using point mutations that eliminate key residues predicted to interact with EMD are needed to confirm the binding site.
A Predicted binding of EMD near the base of the lever arm as obtained by molecular docking. Two slightly different clusters of binding poses were identified for EMD with comparable binding affinities.
B Close-up of the allosteric binding pocket shown in surface representation. The Y shape of the pocket is outlined and the two residues—Arg29 and Lys34—that were allowed full conformational flexibility during docking are colored red.
For clarity only the best poses for the two identified clusters of binding modes are shown. Hydrogen bonds of EMD to the motor protein are shown in magenta.
To gain a better understanding of its mechanism of action, we examined the effect of EMD binding on the kinetic activity of the myosin motor. The fast process corresponds to the binding of ATP to the active site.
Accordingly, EMD triggers a 3. It can be monitored by the fluorescence increase that is associated with the much faster binding of phosphate to the AC mutant of Escherichia coli phosphate binding protein, labeled at Cys with the thiol reactive coumarin dye MDCC Brune et al.
The observed transients in the absence and presence of EMD were best fitted by single exponential functions. A Kinetic reaction scheme of the actomyosin ATPase cycle. The fast phase of the biphasic transients correspond to ATP binding, the slow phase can be attributed to ATP hydrolysis.
The observed rates for the fast phase show a linear dependence on ATP concentration. Differences in the slopes indicate a threefold increase of the second order rate constants for ATP binding in the presence of EMD The plateau values from a hyperbolic fit of the observed slow components of the fluorescence transients plotted against ATP concentrations define the rate of ATP hydrolysis.
F The rate of phosphate release increased 1. The activation energy for the reaction is 1. Equilibrium binding of ligands leads to a shift of the midpoint of the thermal transition T m , which corresponds to the temperature at which half of all protein molecules are in the native state and the remaining half are in the denatured state.
Typically, the extent of the observed increase in protein thermal stability is proportional to the concentration and affinity of the added ligand. The T m measured for the Dd myosin-2 motor domain corresponds to However, the EMD mediated activation and conversion of inactive to catalytically competent myosin Figure 1C,D and the greatly improved preservation of enzymatic activity during storage Figure 4A indicate that EMD is more potent in preventing the precipitation and irreversible denaturation of the protein than suggested by the shift in T m alone.
The orange columns indicate changes observed in the presence of EMD D Time-dependent recovery of the capacity to bind nucleotide monitored by ATP-induced changes in intrinsic tryptophan fluorescence. Transients obtained after rapid mixing with ATP were measured at the indicated times following the addition of EMD H Determination of the second order rate constant for the EMD mediated refolding reaction.
The observed rate constants for the recovery of ATPase activity and motility were extracted from the data shown in Figure 4F,G. The slope of a linear fit to the data defines k rescue as 0. The y-intercept gives a first order dissociation rate constant for EMD of 0. To elucidate the mode of action of EMD , we submitted myosin constructs in the absence and presence of the compound to heat stress and followed the resulting changes in solubility and functional competence.
This view is supported by experiments that monitor the recovery of basal activity over a 2 hr period Figure 4C.